Technology and using it in the classroom have become a major issue in the last few years. Teaching online and using more computers and computer-based resources in the classroom are becoming commonplace in almost every school. One word that you may have heard in passing (or may have already been using in class) is Moodle.
**Materials data from another source follow**
┌──
The following is a DFT calculation (GGA+U) of crystalline Ni2BIrO at its relaxed geometry.

Summary:
As for the space group: P4/mmm, No. 123. The volume comes out at 12.312 A^3/atom. For the total energy, the calculation gives -4.328 eV/atom.

a b c (Å): 3.928 3.928 3.990
angles (deg): 90.00 90.00 90.00
Positions (direct):
Ni1 0.000 0.500 0.000
Ni2 0.500 0.000 0.000
B1 0.000 0.000 0.000
Ir1 0.000 0.000 0.500
O1 0.500 0.500 0.500

=====

# 1
AcSi2HgPt5, optimized geometry, DFT GGA-PBE; symmetry = No. 123; formation energy (no corrections) = -633 meV/atom
1.0
-1.510 -3.862 -0.028
3.792 -1.477 -0.794
1.936 -0.837 10.801
Ac Si Hg Pt
1 2 1 5
Cartesian
0.968 -0.418 5.401
1.692 -2.908 2.662
2.526 -3.268 7.317
0.000 0.000 0.000
2.249 -0.891 1.571
-0.402 -2.083 1.954
3.480 -1.423 8.436
0.828 -2.615 8.819
2.109 -3.088 4.989



# 2
Y2C, optimized geometry, DFT GGA-PBE; symmetry = No. 63; energy relative to the elements = -0.6 eV/f.u.
1.0
-3.406 6.853 -2.299
3.325 -7.156 -1.260
-4.613 -2.195 0.292
C Y
2 4
Cartesian
3.086 -6.659 -1.297
-1.734 -2.524 -1.539
0.483 -1.242 -1.699
-0.973 1.789 -1.924
-4.406 3.037 -1.952
0.868 -7.941 -1.137



# 3
ZrBe, optimized geometry, DFT GGA-PBE; symmetry = No. 59; energy relative to the elements = 0.5 eV/f.u.
1.0
-3.084 -0.445 -0.710
0.676 -3.991 -0.435
-1.066 -0.736 5.095
Be Zr
2 2
Cartesian
-0.064 -0.044 0.305
-1.940 -2.726 2.943
-0.603 -0.416 2.881
-1.401 -2.354 0.368



# 4
KZrAg2F8, optimized geometry, DFT GGA-PBE; symmetry = No. 2; formation energy (no corrections) = -2455 meV/atom
1.0
4.946 -0.140 0.039
-0.097 5.533 0.173
0.084 0.259 7.635
K Zr Ag F
1 1 2 8
Cartesian
0.042 0.129 3.818
0.000 0.000 0.000
2.307 2.833 5.730
2.626 2.818 2.117
0.687 4.430 1.690
3.244 4.085 0.282
4.151 1.062 1.481
4.247 1.222 6.157
1.689 1.567 7.565
0.782 4.590 6.366
2.737 4.083 4.001
2.196 1.569 3.845



Calculated DFT total energy in order - -5.684 -7.589 -5.898 -4.982 eV/atom
└──
I have been working with Moodle for almost two years, and it has the potential to be a great resource for any ESL class.
What is Moodle?
Moodle is a Learning Management System (LMS) platform that many education providers use to host either a few courses, a whole program, or a MOOC (Massive Open Online Course)!
Moodle resides on an Internet site that students log in to in order to communicate with teachers and other students or to access lessons and class material. These sites are being used more and more by colleges and universities to provide resources for students, as well as track grades and assignments, and provide an easy method for communicating.
The main difference from having a regular Internet-based class website or blog is that students must log in to use Moodle, giving you the opportunity to easily track students as well as restrict access so only your students can use it.
The best thing about Moodle is that it’s free (very important) and open-source (meaning anyone can add and change it).
Like Firefox (my favourite web browser), it benefits from having a large community of people continuously improving and updating the program.
It is also very user-friendly. Aside from the initial installation, which requires it to be set up on a network and published online (i.e. assigning it a web address), using it for your ESL classroom just takes time and trial-and-error experimentation.
My first encounter with this type of site, which some of you may be familiar with, was the Canadian Language Benchmarks ‘Boot Camp’ (found at http://elearning.language.ca/ but not operational at time of publication) which gives a thorough course in CLB concepts, using a Moodle platform.
So, what can it do for an ESL classroom?
Moodle is very versatile, and there are a number of things you can use it for. For example:
- Have extra practice and review exercises for listening, grammar, reading, and writing, with the capability to have video and audio files
- Give quizzes and exams
- Use it to store class material that can be accessed from home
- Give links to other websites and resources
- Have students use it instead of email for communication and submitting assignments
- Make class announcements
- Conduct polls, surveys, and discussion forums
- Track student activity and marks
Where can I learn more or see some examples?
In my next blog post, I’ll go into more detail about my experiences with Moodle and the site I currently use in class.
One of my first introductions to Moodle was through LearnIT2teach, which has a CIC-funded 4-part professional development program organized on a Moodle platform. Although taking the professional development stages is restricted to CIC-funded teachers, anyone can get a general idea of how Moodle works through the support pages that they provide. Visit them at http://learnit2teach.ca/wpnew/
Have a try and see what Moodle is capable of. Happy exploring!
In what ways can you see benefits to using Moodle for your courses?
== Calculated crystals that have nothing to do with the article ==
1.
# HfAl2H6

A geometry-optimized HfAl2H6 structure (PBE, Alexandria).

Calculated values
**DFT total energy**: -140.879 eV for the cell shown

Unit cell a=6.875 b=6.875 c=6.875 alpha=90.00 beta=90.00 gamma=90.00
Space group Fm-3m (No. 225)
Inequivalent atoms, fractional coordinates:
1 Hf 0.000 0.000 0.000 x4
2 Al 0.250 0.250 0.250 x8
3 H 0.000 0.000 0.278 x24

2.
# HfAlH3

A geometry-optimized HfAlH3 structure (PBE, Alexandria).

Calculated values
**DFT total energy**: -23.479 eV for the cell shown

Unit cell a=3.747 b=3.747 c=3.747 alpha=90.00 beta=90.00 gamma=90.00
Space group Pm-3m (No. 221)
Inequivalent atoms, fractional coordinates:
1 Hf 0.000 0.000 0.000 x1
2 Al 0.500 0.500 0.500 x1
3 H 0.000 0.000 0.500 x3

3.
# Hf2AlH

A geometry-optimized Hf2AlH structure (PBE, Alexandria).

Calculated values
**ΔE to the lowest computed polymorph**: 0.00 kJ per mole of atoms

Unit cell a=3.278 b=5.029 c=7.797 alpha=90.00 beta=102.00 gamma=90.00
Space group P2_1 (No. 4)
Inequivalent atoms, fractional coordinates:
I have also been using Moodle, via LearnIT2teach, for about two years now. The learners have found the site easy to navigate, once they get familiar with it, and really appreciate the ability to get online, to practice, to review links, to connect with classmates outside of class… I can’t imagine running a class without one.
Agree that setting up Moodle on your own can be a little tricky, but the investment is worth it. Even better if you have a LINC connection and can get the support of the pros at LIT2T.
HI Andrew:
You may be intersted in this older book about Moodle 1.9 for ESL that has some great hints:
Moodle 1.9 for Second Language Teaching
Here’s an excerpt from the TOC:
Chapter 3: Vocabulary Activities
Activity 1: Setting up a class glossary
Activity 2: Using a Glossary to create a “word of the day” feature
Activity 3: Using comments in the Glossary module for students to comment on keywords
Activity 4: Using the rating facility to provide feedback on students’ definitions
Activity 5: Using tags to highlight vocabulary and link to example stories
Activity 6: Using polls to vote on the meaning of words
Activity 7: Using a chat session transcript to analyze vocabulary errors
Activity 8: Using a Personal Glossary to set up simple individual vocabulary lists
Activity 9: Creating a crossword in Hot Potatoes
-- These records of crystals were left in the page by mistake --
Record 1
Density functional theory data (GGA-PBE) for a relaxed structure of La3Nd2Ru2.

The structure in POSCAR format:
```
La3Nd2Ru2
1.0
6.2404 -1.9909 0.0000
6.2404 1.9909 0.0000
-3.8311 0.0000 8.2807
La Nd Ru
3 2 2
direct
0.0000 0.0000 0.0000 La
0.1175 0.1175 0.4227 La
0.8825 0.8825 0.5773 La
0.3265 0.3265 0.1883 Nd
0.6735 0.6735 0.8117 Nd
0.3213 0.3213 0.7587 Ru
0.6787 0.6787 0.2413 Ru
```

Calculated values
E_form: -0.22 eV/atom
Space group: C2/m (12)
DOS at the Fermi energy: 5.921 states/eV per cell
DFT total energy: -6.345 eV per atom
ρ: 7.3 g/cm3

***

Record 2
Density functional theory data (GGA-PBE) for a relaxed structure of La6NdRu4.

The structure in POSCAR format:
```
La6NdRu4
1.0
6.8389 0.0000 0.0000
-2.6800 6.3620 0.0000
-1.2843 -1.4893 6.9916
La Nd Ru
6 1 4
direct
0.0000 0.0000 0.0000 La
0.0310 0.2825 0.5985 La
0.3528 0.6953 0.0406 La
0.5093 0.7648 0.5628 La
0.6415 0.3006 0.9613 La
0.9550 0.7173 0.3989 La
0.4782 0.2365 0.4403 Nd
0.1398 0.3910 0.2611 Ru
0.2713 0.9749 0.7241 Ru
0.7201 0.0226 0.2710 Ru
0.8491 0.6074 0.7350 Ru
```

Calculated values
E_form: -0.21 eV/atom
Space group: P1 (1)
DOS at the Fermi energy: 6.197 states/eV per cell
DFT total energy: -6.704 eV per atom
ρ: 7.5 g/cm3

* * * * *

1.
This record from the Alexandria database describes a geometry-optimized NbSbO2F structure. The functional is GGA-PBE.

abc: 4.3008 4.3008 4.2914
angles: 90.00 90.00 90.00
Atoms (fractional coordinates):
Sb 0.0000 0.0000 0.0000
Nb 0.5000 0.5000 0.5000
O 0.0000 0.5000 0.0000
O 0.5000 0.0000 0.0000
F 0.0000 0.0000 0.5000

## Properties
Crystal system ... tetragonal
Formation energy (no corrections) ... -448 meV per atom
VASP energy ... -5.644 eV per atom
Space-group type ... P4/mmm

---

2.
This record from the Alexandria database describes a geometry-optimized NbSbO2F structure. The functional is GGA-PBE.

abc: 4.0629 4.0629 4.4077
angles: 90.00 90.00 90.00
Atoms (fractional coordinates):
Sb 0.5000 0.5000 0.5000
Nb 0.0000 0.0000 0.0000
O 0.0000 0.5000 0.0000
O 0.5000 0.0000 0.0000
F 0.0000 0.0000 0.5000

## Properties
Crystal system ... tetragonal
Formation energy (no corrections) ... -1425 meV per atom
VASP energy ... -6.621 eV per atom
Space-group type ... P4/mmm

---

3.
This record from the Alexandria database describes a geometry-optimized Sc2NbOF structure. The functional is GGA-PBE.

abc: 5.2748 3.9754 5.2748
angles: 90.00 90.00 90.00
Atoms (fractional coordinates):
Sc 0.0000 0.0000 0.5000
Sc 0.5000 0.0000 0.0000
Nb 0.0000 0.0000 0.0000
O 0.0000 0.5000 0.0000
F 0.5000 0.5000 0.5000

## Properties
Crystal system ... tetragonal
Formation energy (no corrections) ... -473 meV per atom
VASP energy ... -6.385 eV per atom
Space-group type ... P4/mmm

---

4.
This record from the Alexandria database describes a geometry-optimized NbSeOF2 structure. The functional is GGA-PBE.

abc: 4.6627 4.6627 3.7669
angles: 90.00 90.00 90.00
Atoms (fractional coordinates):
Nb 0.5000 0.5000 0.5000
O 0.0000 0.0000 0.5000
Se 0.0000 0.0000 0.0000
Activity 10: Using a Database to set up categorized vocabulary lists
Activity 11: Creating a gap-fill using the Quiz module 141
Activity 12: Creating a text/text matching activity using the Quiz module
Hope it helps!
It looks interesting. Thanks!
I just learned that although I’m using Moodle 2.4, they’ve already upgraded to 2.8. I need to catch up!
Although Moodle is turning out to be a good fit for my situation, it is not the ideal solution for all organizations. It is important to do your research and testing before making the leap to Moodle or any Learning Management System.
I have tried Canvas.Instructure.com, which is a competing platform and the features are largely based on Moodle and other open source products. It is very intuitive and does not require any set up or installation. A free account is available to individual teachers to use it in creating and teaching courses. It has amazing features for managing courses/classes and monitoring progress through built in analytical tools for individual students or whole classes. It’s also handy that you can import export quizzes/courses to or from Moodle.